## Activity
Now print the part of the rows further below that starts with the line with "0.381 0.390" and stops after the one with "0.900".
## Listing
********
First-principles (GGA-PBE) data for a geometry-optimized Cr8Fe2CuNiS16 structure, as listed in the Materials Project database.

Cell: 11.925 11.925 11.925 Å, 33.53 33.53 33.53°
Element x y z (fractional)
Cr: 0.000 0.000 0.000
Cr: 0.247 0.247 0.751
Cr: 0.247 0.751 0.247
Cr: 0.252 0.748 0.748
Cr: 0.499 0.499 0.499
Cr: 0.748 0.252 0.748
Cr: 0.748 0.748 0.252
Cr: 0.751 0.247 0.247
Fe: 0.311 0.311 0.311
Fe: 0.811 0.811 0.811
Cu: 0.186 0.186 0.186
Ni: 0.686 0.686 0.686
S: 0.119 0.119 0.632
S: 0.119 0.632 0.119
S: 0.120 0.120 0.120
S: 0.132 0.619 0.619
S: 0.362 0.881 0.881
S: 0.375 0.375 0.375
S: 0.386 0.386 0.854
S: 0.386 0.854 0.386
S: 0.619 0.132 0.619
S: 0.619 0.619 0.132
S: 0.622 0.622 0.622
S: 0.632 0.119 0.119
S: 0.854 0.386 0.386
S: 0.876 0.876 0.876
S: 0.881 0.362 0.881
S: 0.881 0.881 0.362

Calculated values
Energy of formation, meV per atom: -869
V, A^3/atom: 16.46
Energy with MP2020 corrections, Ry/atom: -0.51069
Final energy, eV/atom: -6.661
Space group: No. 160

=====

First-principles (GGA-PBE) data for a geometry-optimized Li2B3PO8 structure, as listed in the Materials Project database.

Cell: 8.786 10.842 13.077 Å, 90.72 90.59 90.07°
Element x y z (fractional)
Li: 0.064 0.458 0.086
Li: 0.137 0.958 0.491
Li: 0.240 0.440 0.673
Li: 0.245 0.956 0.171
Li: 0.263 0.670 0.896
Li: 0.282 0.222 0.461
Li: 0.365 0.728 0.236
Li: 0.380 0.155 0.786
Li: 0.620 0.845 0.214
Li: 0.635 0.272 0.764
Li: 0.718 0.778 0.539
Li: 0.737 0.330 0.104
Li: 0.755 0.044 0.829
Li: 0.760 0.560 0.327
Li: 0.863 0.042 0.509
Li: 0.936 0.542 0.914
B: 0.044 0.882 0.840
B: 0.054 0.414 0.379
B: 0.091 0.615 0.293
B: 0.106 0.105 0.852
B: 0.190 0.696 0.577
B: 0.199 0.240 0.148
B: 0.300 0.945 0.886
B: 0.310 0.488 0.355
B: 0.381 0.390 0.074
B: 0.407 0.841 0.557
B: 0.447 0.620 0.601
B: 0.452 0.173 0.106
B: 0.548 0.827 0.894
B: 0.553 0.380 0.399
B: 0.593 0.159 0.443
B: 0.619 0.610 0.926
B: 0.690 0.512 0.645
B: 0.700 0.055 0.114
B: 0.801 0.760 0.852
B: 0.810 0.304 0.423
B: 0.894 0.895 0.148
B: 0.909 0.385 0.707
B: 0.946 0.586 0.621
B: 0.956 0.118 0.160
P: 0.091 0.708 0.093
P: 0.092 0.192 0.643
P: 0.402 0.434 0.863
P: 0.422 0.971 0.373
P: 0.578 0.029 0.627
P: 0.598 0.566 0.137
P: 0.908 0.808 0.357
P: 0.909 0.292 0.907
O: 0.005 0.481 0.662
O: 0.005 0.999 0.160
O: 0.035 0.680 0.584
O: 0.048 0.202 0.920
O: 0.051 0.217 0.177
O: 0.052 0.080 0.579
O: 0.054 0.610 0.180
O: 0.063 0.738 0.335
O: 0.097 0.626 0.997
O: 0.156 0.152 0.752
O: 0.198 0.851 0.858
O: 0.211 0.394 0.385
O: 0.212 0.277 0.600
O: 0.234 0.782 0.120
O: 0.240 0.359 0.133
O: 0.243 0.811 0.558
O: 0.251 0.063 0.898
O: 0.255 0.592 0.310
O: 0.282 0.045 0.403
O: 0.290 0.597 0.590
O: 0.296 0.525 0.810
O: 0.302 0.143 0.135
O: 0.327 0.398 0.968
O: 0.415 0.907 0.267
O: 0.431 0.945 0.629
O: 0.432 0.320 0.799
O: 0.438 0.507 0.112
O: 0.451 0.925 0.900
O: 0.457 0.866 0.452
O: 0.464 0.480 0.374
O: 0.496 0.265 0.411
O: 0.497 0.290 0.086
O: 0.503 0.710 0.914
O: 0.504 0.735 0.589
O: 0.536 0.520 0.626
O: 0.543 0.134 0.548
O: 0.549 0.075 0.100
O: 0.562 0.493 0.888
O: 0.568 0.680 0.201
O: 0.569 0.055 0.371
O: 0.585 0.093 0.733
O: 0.673 0.602 0.032
O: 0.698 0.857 0.865
O: 0.704 0.475 0.190
O: 0.710 0.403 0.410
O: 0.718 0.955 0.597
O: 0.745 0.408 0.690
O: 0.749 0.937 0.102
O: 0.757 0.189 0.442
O: 0.760 0.641 0.867
O: 0.766 0.218 0.880
O: 0.788 0.723 0.400
O: 0.789 0.606 0.615
O: 0.802 0.149 0.142
O: 0.844 0.848 0.248
O: 0.903 0.374 0.003
O: 0.937 0.262 0.665
O: 0.946 0.390 0.820
O: 0.948 0.920 0.421
O: 0.949 0.783 0.823
O: 0.952 0.798 0.080
O: 0.965 0.320 0.416
O: 0.995 0.001 0.840
O: 0.995 0.519 0.338

Calculated values
Energy of formation, meV per atom: -2793
V, A^3/atom: 11.12
Energy with MP2020 corrections, Ry/atom: -0.56674
Final energy, eV/atom: -7.318
Space group: No. 2

=====

First-principles (GGA-PBE) data for a geometry-optimized HoAsS structure, as listed in the Materials Project database.

Cell: 3.813 3.829 8.484 Å, 90.00 90.00 90.00°
Element x y z (fractional)
Ho: 0.250 0.250 0.209
Ho: 0.750 0.750 0.791
********
## Written answer
B: 0.381 0.390 0.074
B: 0.407 0.841 0.557
B: 0.447 0.620 0.601
B: 0.452 0.173 0.106
B: 0.548 0.827 0.894
B: 0.553 0.380 0.399
B: 0.593 0.159 0.443
B: 0.619 0.610 0.926
B: 0.690 0.512 0.645
B: 0.700 0.055 0.114
B: 0.801 0.760 0.852
B: 0.810 0.304 0.423
B: 0.894 0.895 0.148
B: 0.909 0.385 0.707
B: 0.946 0.586 0.621
B: 0.956 0.118 0.160
P: 0.091 0.708 0.093
P: 0.092 0.192 0.643
P: 0.402 0.434 0.863
P: 0.422 0.971 0.373
P: 0.578 0.029 0.627
P: 0.598 0.566 0.137
P: 0.908 0.808 0.357
P: 0.909 0.292 0.907
O: 0.005 0.481 0.662
O: 0.005 0.999 0.160
O: 0.035 0.680 0.584
O: 0.048 0.202 0.920
O: 0.051 0.217 0.177
O: 0.052 0.080 0.579
O: 0.054 0.610 0.180
O: 0.063 0.738 0.335
O: 0.097 0.626 0.997
O: 0.156 0.152 0.752
O: 0.198 0.851 0.858
O: 0.211 0.394 0.385
O: 0.212 0.277 0.600
O: 0.234 0.782 0.120
O: 0.240 0.359 0.133
O: 0.243 0.811 0.558
O: 0.251 0.063 0.898
O: 0.255 0.592 0.310
O: 0.282 0.045 0.403
O: 0.290 0.597 0.590
O: 0.296 0.525 0.810
O: 0.302 0.143 0.135
O: 0.327 0.398 0.968
O: 0.415 0.907 0.267
O: 0.431 0.945 0.629
O: 0.432 0.320 0.799
O: 0.438 0.507 0.112
O: 0.451 0.925 0.900